Prime Minister visits aerospace company in Bangalore to welcome UK-India deal worth £120 million
Theresa May visits Dynamatic Technologies to recognise the benefits of British technology collaborating with Indian manufacturing.

The Prime Minister will visit Dynamatic Technologies’ facility in Bangalore as Airbus takes delivery of the first set of A330 wing components, produced jointly in the UK and India.
Airbus’ footprint in India has increased significantly in the last 40 years, and Dynamatic is providing flap track beams for Airbus’ twin aisle A330 model. The parts are machined in Dynamatic’s facilities in Swindon, and Bristol and then manufactured and assembled in Bangalore – bringing together the skills of the UK and Indian workforce.
Worth up to £120 million to the UK economy over a 10-year period, the contract is creating 60 new jobs across Dynamatic’s 2 UK sites and 100 jobs at their Bangalore site.
# Inserted here: data records
+++
Entry 1:
Structure and computed powder diffractogram of Sr2NiSe2Cl2O6 (DFT lattice parameters and positions (GGA+U); Cu Kα (weighted mean of Kα1 and Kα2)).

The 10 most intense peaks (2θ from 5° to 70°), low angle first:
- 2θ 27.36, rel. 26.3
- 2θ 29.80, rel. 100.0
- 2θ 31.07, rel. 50.5
- 2θ 31.09, rel. 44.9
- 2θ 31.94, rel. 19.7
- 2θ 33.08, rel. 66.3
- 2θ 35.05, rel. 15.0
- 2θ 43.45, rel. 18.7
- 2θ 43.76, rel. 15.4
- 2θ 52.38, rel. 19.4

a = 5.423 Å, b = 6.519 Å, c = 12.432 Å
α = 89.94°, β = 86.95°, γ = 89.89°
Atoms (fractional coordinates):
Sr  0.015  0.202  0.266
Sr  0.485  0.702  0.234
Sr  0.515  0.298  0.766
Sr  0.985  0.798  0.734
Ni  0.000  0.500  0.000
Ni  0.500  0.000  0.500
Se  0.004  0.260  0.574
Se  0.495  0.761  0.927
Se  0.505  0.239  0.073
Se  0.996  0.740  0.426
Cl  0.051  0.179  0.897
Cl  0.449  0.678  0.603
Cl  0.551  0.322  0.397
Cl  0.949  0.821  0.103
O  0.066  0.571  0.324
O  0.220  0.927  0.395
O  0.243  0.629  0.879
O  0.256  0.127  0.621
O  0.279  0.426  0.105
O  0.436  0.071  0.176
O  0.564  0.929  0.824
O  0.721  0.574  0.895
O  0.744  0.873  0.379
O  0.757  0.371  0.121
O  0.780  0.073  0.605
O  0.934  0.429  0.676

Entry 2:
Structure and computed powder diffractogram of YNi3Se2ClO8 (DFT lattice parameters and positions (GGA+U); Cu Kα (weighted mean of Kα1 and Kα2)).

The 10 most intense peaks (2θ from 5° to 70°), low angle first:
- 2θ 16.60, rel. 32.8
- 2θ 26.27, rel. 37.5
- 2θ 27.81, rel. 24.9
- 2θ 28.56, rel. 24.6
- 2θ 30.53, rel. 49.5
- 2θ 31.13, rel. 100.0
- 2θ 33.59, rel. 49.6
- 2θ 35.90, rel. 63.4
- 2θ 40.30, rel. 27.8
- 2θ 54.06, rel. 52.8

a = 6.416 Å, b = 9.636 Å, c = 7.157 Å
α = 90.00°, β = 90.00°, γ = 90.00°
Atoms (fractional coordinates):
Y  0.250  0.250  0.241
Y  0.750  0.750  0.759
Ni  0.000  0.000  0.500
Ni  0.000  0.500  0.500
Ni  0.250  0.250  0.704
Ni  0.500  0.000  0.500
Ni  0.500  0.500  0.500
Ni  0.750  0.750  0.296
Se  0.250  0.560  0.906
Se  0.250  0.940  0.906
Se  0.750  0.060  0.094
Se  0.750  0.440  0.094
Cl  0.250  0.750  0.358
Cl  0.750  0.250  0.642
O  0.039  0.588  0.760
O  0.039  0.912  0.760
O  0.250  0.113  0.502
O  0.250  0.119  0.925
O  0.250  0.381  0.925
O  0.250  0.387  0.502
O  0.461  0.588  0.760
O  0.461  0.912  0.760
O  0.539  0.088  0.240
O  0.539  0.412  0.240
O  0.750  0.613  0.498
O  0.750  0.619  0.075
O  0.750  0.881  0.075
O  0.750  0.887  0.498
O  0.961  0.088  0.240
O  0.961  0.412  0.240

Entry 3:
Structure and computed powder diffractogram of Ni5Te4Cl2O12 (DFT lattice parameters and positions (GGA+U); Cu Kα (weighted mean of Kα1 and Kα2)).

The 10 most intense peaks (2θ from 5° to 70°), low angle first:
- 2θ 10.89, rel. 65.9
- 2θ 21.88, rel. 34.2
- 2θ 23.88, rel. 25.0
- 2θ 26.54, rel. 47.4
- 2θ 28.37, rel. 100.0
- 2θ 28.92, rel. 47.7
- 2θ 32.16, rel. 26.5
- 2θ 33.76, rel. 43.5
- 2θ 35.96, rel. 22.5
- 2θ 36.17, rel. 49.2

a = 10.276 Å, b = 10.276 Å, c = 16.417 Å
α = 123.73°, β = 123.73°, γ = 29.95°
Atoms (fractional coordinates):
Ni  0.123  0.696  0.527
+++
# Here the entry continues
Flap track beams are high tech guide rails fitted to the wings of the aircraft, which are crucial in controlling speed, direction and balance.
Speaking at Dynamatic in Bangalore, the Prime Minister said:
This collaboration between Dynamatic Technologies UK and Indian workforce demonstrates the strength of the UK’s partnership with India. It showcases British technology with Indian manufacturing and delivers real benefit to both our economies, creating jobs back in Swindon and Bristol as well as here in India.
Touring the facility, the Prime Minister will meet Dynamatic’s Managing Director, the President and Managing Director of Airbus Group India and the President of Airbus India. The Prime Minister will see first-hand the beams being assembled and made ready to be sent to Airbus and meet apprentices working on the production and assembly line.
# Data records, as found in the file
'''
Diffraction record for Mn5Al8. The powder XRD pattern is computed, not measured: it uses DFT lattice parameters and positions (PBE) and Cu Kα (weighted mean of Kα1 and Kα2).
Neutral-atom scattering factors, no anomalous dispersion.

Structure:
```
data_Mn5Al8
_chemical_formula_sum 'Mn20 Al32'
_cell_length_a 8.9778
_cell_length_b 8.9778
_cell_length_c 8.9778
_cell_angle_alpha 90.00
_cell_angle_beta 90.00
_cell_angle_gamma 90.00
_space_group_name_H-M_alt 'I -4 3 m'
_space_group_IT_number 217
_space_group_name_Hall 'I -4 2 3'
loop_
_atom_site_label
_atom_site_type_symbol
_atom_site_fract_x
_atom_site_fract_y
_atom_site_fract_z
_atom_site_occupancy
Mn1 Mn 0.0000 0.0000 0.3534 1
Mn2 Mn 0.1754 0.1754 0.1754 1
Al1 Al 0.0319 0.3140 0.6860 1
Al2 Al 0.1077 0.1077 0.8923 1
```

The 10 most intense peaks (2θ = 10–90°), by intensity:
2θ (°), I (rel.), index
42.7, 100, 3 3 0
78.2, 20, 6 3 3
24.3, 19, 2 1 1
62.0, 12, 6 0 0
88.5, 9, 7 4 1
49.8, 6, 4 2 2
73.0, 4, 4 4 4
63.9, 2, 5 3 2
74.8, 2, 5 5 0
47.5, 2, 3 3 2

---

Diffraction record for Mn5Al8. The powder XRD pattern is computed, not measured: it uses DFT lattice parameters and positions (PBE) and Cu Kα (weighted mean of Kα1 and Kα2).
Neutral-atom scattering factors, no anomalous dispersion.

Structure:
```
data_Mn5Al8
_chemical_formula_sum 'Mn30 Al48'
_cell_length_a 12.5875
_cell_length_b 12.5875
_cell_length_c 7.7042
_cell_angle_alpha 90.00
_cell_angle_beta 90.00
_cell_angle_gamma 120.00
_space_group_name_H-M_alt 'R 3 m'
_space_group_IT_number 160
_space_group_name_Hall 'R 3 -2"'
loop_
_atom_site_label
_atom_site_type_symbol
_atom_site_fract_x
_atom_site_fract_y
_atom_site_fract_z
_atom_site_occupancy
Mn1 Mn 0.0000 0.0000 0.0000 1
Mn2 Mn 0.0705 0.1410 0.7795 1
Mn3 Mn 0.1028 0.5514 0.7702 1
Mn4 Mn 0.2199 0.4399 0.6176 1
Al1 Al 0.0000 0.0000 0.5383 1
Al2 Al 0.0064 0.3870 0.5176 1
Al3 Al 0.0967 0.5484 0.1346 1
Al4 Al 0.1450 0.0725 0.2572 1
Al5 Al 0.2139 0.4279 0.2770 1
```

The 10 most intense peaks (2θ = 10–90°), by intensity:
2θ (°), I (rel.), index
43.1, 100, 3 0 3
14.1, 41, 1 0 1
79.1, 19, 3 5 4
47.9, 14, 5 0 2
50.2, 12, 0 2 4
24.5, 6, 3 0 0
52.4, 6, 1 4 3
89.5, 6, 3 3 6
75.5, 5, 5 5 0
86.0, 5, 1 9 1

* * * * *

(1)
Computed powder X-ray diffraction pattern
Compound: Pr3Dy2Cd3
Radiation: Cu Kα (λ = 1.5418 Å)
Structure: a structure optimized by DFT (GGA-PBE)
Intensities are scaled so that the largest is 100.

Cell and atoms:
Unit cell a=3.794 b=5.551 c=22.657 alpha=90.00 beta=90.00 gamma=90.00
Space group Immm (No. 71)
Inequivalent atoms, fractional coordinates:
Pr 0.000 0.000 0.000
Pr 0.000 0.500 0.124
Dy 0.000 0.000 0.235
Cd 0.000 0.000 0.500
Cd 0.000 0.500 0.378

Top 10 peaks for 5° ≤ 2θ ≤ 70°, in order of falling intensity:
- 32.67 deg, I = 100.0, (1 1 4)
- 32.26 deg, I = 27.0, (0 2 0)
- 31.59 deg, I = 24.1, (0 0 8)
- 57.78 deg, I = 19.2, (1 3 4)
- 45.77 deg, I = 17.1, (0 2 8)
- 56.95 deg, I = 14.3, (1 1 12)
- 68.45 deg, I = 10.1, (2 2 8)
- 58.97 deg, I = 9.4, (2 2 0)
- 47.95 deg, I = 8.8, (2 0 0)
'''
With sites in Swindon, Bristol and Bangalore, Dynamatic carries out its technical engineering design in the UK and is the only Indian Tier 1 supplier to Airbus.
### Misplaced calculated crystals
'''
Diffraction record for Pr2Dy4Hg. The powder X-ray diffraction pattern is calculated, not measured: it uses a cell relaxed with GGA-PBE and Cu Kα.
No peak broadening, texture or thermal motion is included.

Crystal structure
```
data_Pr2Dy4Hg
_chemical_formula_sum 'Pr4 Dy8 Hg2'
_cell_length_a 17.120
_cell_length_b 3.641
_cell_length_c 8.105
_cell_angle_alpha 90.00
_cell_angle_beta 117.22
_cell_angle_gamma 90.00
_space_group_name_H-M_alt 'C 1 2/m 1'
_space_group_IT_number 12
loop_
_space_group_symop_operation_xyz
'x,y,z'
'-x,-y,-z'
'-x,y,-z'
'x,-y,z'
'x+1/2,y+1/2,z'
'-x+1/2,-y+1/2,-z'
'-x+1/2,y+1/2,-z'
'x+1/2,-y+1/2,z'
loop_
_atom_site_label
_atom_site_type_symbol
_atom_site_fract_x
_atom_site_fract_y
_atom_site_fract_z
Pr1 Pr 0.216 0.000 0.137
Dy1 Dy 0.058 0.500 0.740
Dy2 Dy 0.138 0.000 0.467
Hg1 Hg 0.000 0.000 0.000
```

Most intense lines, 2θ = 10–90°, by angle:
26.8°, d 3.322, intensity 28, (1 1 -1)
29.4°, d 3.036, intensity 32, (3 1 -1)
31.2°, d 2.867, intensity 65, (4 0 1)
32.6°, d 2.750, intensity 42, (6 0 -2)
33.6°, d 2.670, intensity 100, (2 0 -3)
36.0°, d 2.493, intensity 48, (5 1 -1)
55.3°, d 1.662, intensity 38, (7 1 -4)
60.2°, d 1.537, intensity 22, (4 2 1)

---

Diffraction record for TcI2O. The powder X-ray diffraction pattern is calculated, not measured: it uses a cell relaxed with GGA-PBE and Cu Kα.
No peak broadening, texture or thermal motion is included.

Crystal structure
```
data_TcI2O
_chemical_formula_sum 'Tc1 I2 O1'
_cell_length_a 3.759
_cell_length_b 4.103
_cell_length_c 8.052
_cell_angle_alpha 75.29
_cell_angle_beta 89.28
_cell_angle_gamma 90.00
_space_group_name_H-M_alt 'P -1'
_space_group_IT_number 2
loop_
_space_group_symop_operation_xyz
'x,y,z'
'-x,-y,-z'
loop_
_atom_site_label
_atom_site_type_symbol
_atom_site_fract_x
_atom_site_fract_y
_atom_site_fract_z
Tc1 Tc 0.000 0.000 0.000
I1 I 0.006 0.618 0.762
O1 O 0.500 0.000 0.000
```

Most intense lines, 2θ = 10–90°, by angle:
11.4°, d 7.787, intensity 95, (0 0 1)
23.7°, d 3.758, intensity 100, (1 0 0)
27.7°, d 3.219, intensity 90, (0 1 2)
36.2°, d 2.481, intensity 62, (0 1 -2)
36.6°, d 2.455, intensity 31, (1 1 2)
36.9°, d 2.435, intensity 34, (-1 1 2)
43.5°, d 2.081, intensity 31, (1 -1 2)
43.9°, d 2.061, intensity 28, (1 1 -2)

---

Diffraction record for PmCd9Pd2. The powder X-ray diffraction pattern is calculated, not measured: it uses a cell relaxed with GGA-PBE and Cu Kα.
No peak broadening, texture or thermal motion is included.

Crystal structure
```
data_PmCd9Pd2
_chemical_formula_sum 'Pm4 Cd36 Pd8'
_cell_length_a 11.723
_cell_length_b 11.723
_cell_length_c 7.543
_cell_angle_alpha 90.00
_cell_angle_beta 90.00
_cell_angle_gamma 90.00
_space_group_name_H-M_alt 'I 41/a m d'
_space_group_IT_number 141
loop_
_space_group_symop_operation_xyz
'x,y,z'
'-x,-y,-z'
'-y+1/4,x+3/4,z+1/4'
'y+1/4,-x+3/4,-z+1/4'
'-x+1/2,-y,z+1/2'
'x+1/2,y,-z+1/2'
'y+1/4,-x+1/4,z+3/4'
'-y+1/4,x+1/4,-z+3/4'
'x,-y,-z'
'-x,y,z'
'-y+1/4,-x+1/4,-z+3/4'
'y+1/4,x+1/4,z+3/4'
'-x+1/2,y,-z+1/2'
'''
Udayant Malhoutra, Chief Executive Officer & Managing Director, Dynamatic Technologies said:
Our facilities in the UK & India are able to provide global best value to Airbus, with the manufacture of complex parts at our factories in Bristol and Swindon, along with artisanal craftsmanship and assembly at our facilities in Bangalore. We are grateful for the support we have always received from Her Majesty’s Government, and take great pleasure in welcoming Prime Minister Theresa May to our factory at Bangalore.
Tom Williams CBE, Chief Operating Officer, Airbus said:
The A330 has been a market leader with more than 1,600 aircraft ordered by airlines across the world. The UK has been an integral part of this success story, making the wings for every single A330.
Airbus has also fostered partnerships with India’s aviation industry for over 40 years, supporting the sector’s sustainable growth. The crucial role Dynamatic plays in manufacturing this major wing component means that India now shares in the success of this programme, as well as being of benefit to the company’s UK facilities in Swindon and Bristol.
Find out the latest updates on the Prime Minister’s India visit.